North Dakota
General Information:
- North Dakota maintains a list of eligible surplus lines insurers (see Other Comments section #1).
- North Dakota does not have a Surplus Lines Association.
- North Dakota does have an Export List.
- North Dakota currently does have an industrial insured exemption which will remain in effect (see Appendix C). Additionally, North Dakota has adopted the NRRA exempt commercial purchaser exemption (26.1-44-01.1(3)).
- Surplus lines tax: 1.75% if the insured’s home state is ND. Properties, risks, or exposures located or to be performed in this state or another state. (26. 1-44-03.1).
- North Dakota does allow domestic surplus lines insurers in the state.
Eligibility and Filing Requirements (All Insurers):
- Power of Attorney, Affidavit and Data Forms.
- Filing or Other Renewal Fee: $100 (non-refundable application fee); (power of attorney form required upon approval of application).
• What comes next are materials data, not part of the article:
'''
1.
First-principles (PBE) data for an optimized crystal structure of Mo2N, as listed in Materials Project.

```
data_Mo2N
_chemical_formula_sum 'Mo2 N1'
_space_group_name_H-M_alt 'P 1'
_space_group_IT_number 1
_cell_length_a 5.275
_cell_length_b 5.275
_cell_length_c 5.275
_cell_angle_alpha 31.99
_cell_angle_beta 31.99
_cell_angle_gamma 31.99
loop_
_space_group_symop_operation_xyz
'x,y,z'
loop_
_atom_site_label
_atom_site_type_symbol
_atom_site_fract_x
_atom_site_fract_y
_atom_site_fract_z
Mo1 Mo 0.243 0.243 0.243
Mo2 Mo 0.757 0.757 0.757
N1 N 0.000 0.000 0.000
```

Results
- Calculated formation energy: -7.8 kcal/mol of atoms
- Energy above the most stable polymorph in this dataset: 21 meV/atom
- E (MP2020): -10.35 eV per atom

2.
First-principles (PBE) data for an optimized crystal structure of La2CuTe2O, as listed in Materials Project.

```
data_La2CuTe2O
_chemical_formula_sum 'La2 Cu1 Te2 O1'
_space_group_name_H-M_alt 'P 1'
_space_group_IT_number 1
_cell_length_a 3.672
_cell_length_b 3.672
_cell_length_c 15.395
_cell_angle_alpha 90.00
_cell_angle_beta 90.00
_cell_angle_gamma 90.00
loop_
_space_group_symop_operation_xyz
'x,y,z'
loop_
_atom_site_label
_atom_site_type_symbol
_atom_site_fract_x
_atom_site_fract_y
_atom_site_fract_z
La1 La 0.000 0.000 0.137
La2 La 0.000 0.000 0.863
Cu1 Cu 0.000 0.000 0.500
Te1 Te 0.000 0.000 0.342
Te2 Te 0.000 0.000 0.658
O1 O 0.000 0.000 0.000
```

Results
- Calculated formation energy: -16.0 kcal/mol of atoms
- E (MP2020): -4.90 eV per atom

3.
First-principles (PBE) data for an optimized crystal structure of Cu6Sn5, as listed in Materials Project.

```
data_Cu6Sn5
_chemical_formula_sum 'Cu12 Sn10'
_space_group_name_H-M_alt 'P 1'
_space_group_IT_number 1
_cell_length_a 6.676
_cell_length_b 6.676
_cell_length_c 9.860
_cell_angle_alpha 97.33
_cell_angle_beta 97.33
_cell_angle_gamma 67.64
loop_
_space_group_symop_operation_xyz
'x,y,z'
loop_
_atom_site_label
_atom_site_type_symbol
_atom_site_fract_x
_atom_site_fract_y
_atom_site_fract_z
Cu1 Cu 0.000 0.000 0.000
Cu2 Cu 0.000 0.000 0.500
Cu3 Cu 0.160 0.840 0.750
Cu4 Cu 0.189 0.198 0.890
Cu5 Cu 0.198 0.189 0.390
Cu6 Cu 0.371 0.426 0.798
Cu7 Cu 0.426 0.371 0.298
Cu8 Cu 0.574 0.629 0.702
Cu9 Cu 0.629 0.574 0.202
Cu10 Cu 0.802 0.811 0.610
Cu11 Cu 0.811 0.802 0.110
Cu12 Cu 0.840 0.160 0.250
Sn1 Sn 0.059 0.369 0.142
Sn2 Sn 0.200 0.800 0.250
Sn3 Sn 0.228 0.554 0.530
Sn4 Sn 0.369 0.059 0.642
Sn5 Sn 0.446 0.772 0.970
Sn6 Sn 0.554 0.228 0.030
Sn7 Sn 0.631 0.941 0.358
Sn8 Sn 0.772 0.446 0.470
Sn9 Sn 0.800 0.200 0.750
Sn10 Sn 0.941 0.631 0.858
```

Results
- Calculated formation energy: -0.3 kcal/mol of atoms

4.
First-principles (PBE) data for an optimized crystal structure of Rb3Cr, as listed in Materials Project.

```
data_Rb3Cr
_chemical_formula_sum 'Rb6 Cr2'
_space_group_name_H-M_alt 'P 1'
_space_group_IT_number 1
_cell_length_a 8.895
_cell_length_b 8.895
_cell_length_c 6.974
_cell_angle_alpha 90.00
_cell_angle_beta 90.00
_cell_angle_gamma 120.00
loop_
'''
Eligibility and Filing Requirements (Alien Insurers Only):
Must be listed on NAIC’s Quarterly Listing of Alien Insurers.
Eligibility and Filing Requirements (Foreign Insurers Only):
- Evidence of good repute and financial integrity.
- Capital & Surplus: $15,000,000.
- Annual Statement.
- Report of Examination.
Types of Insurance Exempted from Surplus Lines Regulation:
For Exempt Commercial Purchasers: producer is not required to make a due diligence search if proper disclosure made and purchaser makes a written request for procurement.
Other Comments or Requirements:
- North Dakota eligibility list available through “Look up – One Search” at
Jurisdiction: North Dakota
Search Type: Company
Company Type: Surplus Lines Insurer - A North Dakota surplus lines producer must provide a report and an affidavit that he has performed a diligent search of the admitted market for placing the surplus lines insurance no later than March first, June first, September first, and December first for the preceding quarter’s placements. Effective Aug. 1, 2023, North Dakota removed the requirement that a surplus lines broker must file a signed affidavit in connection with diligent search efforts (SB 2305). In addition, effective Aug. 1, 2023, surplus lines brokers are not required to satisfy diligent search requirements if the risk was referred to the surplus lines broker by an insurance producer licensed in North Dakota.
_What comes next are data records, not part of the entry_
'''
Entry 1:
Computed, not measured: a relaxed NpMn3 crystal at the PBE level of DFT. Values from VASP.

Properties
For the size of the total moment, the calculation gives 0.10 μB/f.u. Its theoretical density is 12.9 g/cm³. The calculated total energy is -39.53 eV/f.u.

Quantum ESPRESSO input file:
```
&SYSTEM
  ibrav = 0, nat = 4, ntyp = 2
/
ATOMIC_SPECIES
Np 237.00 Np.upf
Mn 54.94 Mn.upf
ATOMIC_POSITIONS crystal
Np 0.000 0.000 0.000
Mn 0.000 0.500 0.500
Mn 0.500 0.000 0.500
Mn 0.500 0.500 0.000
CELL_PARAMETERS angstrom
3.723 0.000 0.000
0.000 3.723 0.000
0.000 0.000 3.723
```

Entry 2:
Computed, not measured: a relaxed ZrSnTe crystal at the PBE level of DFT. Values from VASP.

Properties
The corrected total energy (MP2020 scheme) is -6.05 eV/atom. Its theoretical density is 7.5 g/cm³. The calculated total energy is -17.74 eV/f.u.

Quantum ESPRESSO input file:
```
&SYSTEM
  ibrav = 0, nat = 6, ntyp = 3
/
ATOMIC_SPECIES
Zr 91.22 Zr.upf
Sn 118.71 Sn.upf
Te 127.60 Te.upf
ATOMIC_POSITIONS crystal
Zr 0.250 0.250 0.236
Zr 0.750 0.750 0.764
Sn 0.250 0.750 0.500
Sn 0.750 0.250 0.500
Te 0.250 0.250 0.881
Te 0.750 0.750 0.119
CELL_PARAMETERS angstrom
4.110 0.000 0.000
0.000 4.110 0.000
0.000 0.000 8.807
```

Entry 3:
Computed, not measured: a relaxed Mg6NbBiO8 crystal at the PBE level of DFT. Values from VASP.

Properties
For the size of the total moment, the calculation gives 2.62 μB/f.u. The corrected total energy (MP2020 scheme) is -6.20 eV/atom. Its theoretical density is 5.0 g/cm³. For the relative energy among the computed polymorphs, the calculation gives 40 meV/atom. The calculated total energy is -93.64 eV/f.u.

Quantum ESPRESSO input file:
```
&SYSTEM
  ibrav = 0, nat = 16, ntyp = 4
/
ATOMIC_SPECIES
Mg 24.30 Mg.upf
Nb 92.91 Nb.upf
Bi 208.98 Bi.upf
O 16.00 O.upf
ATOMIC_POSITIONS crystal
Mg 0.000 0.000 0.000
Mg 0.000 0.000 0.500
Mg 0.000 0.500 0.239
Mg 0.000 0.500 0.761
Mg 0.500 0.000 0.239
Mg 0.500 0.000 0.761
Nb 0.500 0.500 0.000
Bi 0.500 0.500 0.500
O 0.000 0.000 0.251
O 0.000 0.000 0.749
O 0.000 0.500 0.000
O 0.000 0.500 0.500
O 0.500 0.000 0.000
O 0.500 0.000 0.500
O 0.500 0.500 0.240
O 0.500 0.500 0.760
CELL_PARAMETERS angstrom
4.569 0.000 0.000
0.000 4.569 0.000
0.000 0.000 9.085
```

Entry 4:
Computed, not measured: a relaxed SmPPt crystal at the PBE level of DFT. Values from VASP.

Properties
Its theoretical density is 10.4 g/cm³. The calculated total energy is -20.23 eV/f.u.

Quantum ESPRESSO input file:
```
&SYSTEM
  ibrav = 0, nat = 3, ntyp = 3
/
ATOMIC_SPECIES
Sm 150.36 Sm.upf
P 30.97 P.upf
Pt 195.08 Pt.upf
ATOMIC_POSITIONS crystal
Sm 0.000 0.000 0.000
P 0.667 0.333 0.500
Pt 0.333 0.667 0.500
CELL_PARAMETERS angstrom
4.174 0.000 0.000
-2.087 3.615 0.000
0.000 0.000 3.988
```

Entry 5:
Computed, not measured: a relaxed MgO crystal at the PBE level of DFT. Values from VASP.

Properties
'''
- North Dakota allows a North Dakota domestic insurer to be designated a domestic surplus lines insurer if:• The insurer possesses policyholders’ surplus of at least $15 million;• The designation is in compliance with a resolution of the insurer’s Board of Directors; and• The commissioner has provided written approval of the designation.Domestic surplus lines insurers are subject to compliance with all financial examination and solvency requirements that apply to domestic insurers regarding examinations and reports.
- If the insured’s home state is North Dakota, the surplus lines producer must give the following consumer notice to every person applying for insurance with a nonadmitted insurer. The notice must be printed in sixteen point type on a separate document affixed to the application. The applicant must sign and date a copy of the notice to acknowledge receiving it. The surplus lines producer must maintain the signed notice in its file for a period of five years from expiration of the policy. The surplus lines producer must tender a copy of the signed notice to the insured at the time of delivery of each policy the producer transacts with a nonadmitted insurer. The copy must be a separate document affixed to the policy. “Notice: 1. an insurer that is not licensed in this state is issuing the insurance policy that you have applied to purchase. These companies are called “nonadmitted” or “surplus lines” insurers. 2. The insurer is not subject to the financial solvency regulation and enforcement that applies to licensed insurers in this state. 3. These insurers generally do not participate in insurance guaranty funds created by state law. These guaranty funds will not pay your claims or protect your assets if the insurer becomes insolvent and is unable to make payments as promised. 4. Some states maintain lists of approved or eligible surplus lines insurers and surplus lines producers may use only insurers on the lists. Some states issue orders that particular surplus lines insurers cannot be used. 5. For additional information about the above matters and about the insurer, you should ask questions of your insurance producer or surplus lines producer. You may also contact your insurance department consumer help line.”
- Effective August 1, 2023, North Dakota enacted House Bill 1440 relating to delivery network company insurance requirements. Under the new law, such insurance may be placed with an insurer authorized to do business in North Dakota or with an eligible surplus lines insurer.